Software Testing Services:
Quality can arise from good testing, from good software development process, from good designSoftware and systems testing constitutes the most significant part of the technology deployment life cycle, but one that is also subject to most compromises in terms of resources and processes. Software quality is concerned with how well an application "meets its requirements" and also with how well it works for its users.
Quality can arise from good design, from good software development process, from good testing, or most commonly, from a combination of all three.
Good quality software often sells better and lasts longer and makes for better business than "not so good quality" software.
The main reason software test methods are used is that they are effective in reducing the defect content of software products. People ought to build high-quality software, but to make sure, you have to test the final product. And, programmers aren't perfect.
Testing saves lots of money -- some say as much as 100:1 over field-discovered defects
(The article is interrupted by data records)
(1)
The following is a calculated X-ray diffraction stick pattern of Nd6Dy2Al. It was derived from a cell relaxed with GGA-PBE, using copper Kα.

Most intense lines, 2θ from 10° to 90°, low angle first:
2θ 25.2, I = 181; 2θ 30.6, I = 1000; 2θ 31.1, I = 321; 2θ 31.8, I = 699; 2θ 32.8, I = 387; 2θ 36.8, I = 168; 2θ 45.8, I = 220; 2θ 57.1, I = 171; 2θ 58.8, I = 205; 2θ 64.4, I = 154

Structural model:
Unit cell a=10.3690 b=10.3777 c=5.4660 alpha=90.00 beta=90.00 gamma=90.00
Atoms (fractional coordinates):
Nd 0.0400 0.1876 0.0000
Nd 0.1235 0.6224 0.5000
Nd 0.1876 0.9583 0.5000
Nd 0.3124 0.4583 0.0000
Nd 0.3765 0.1224 0.0000
Nd 0.4600 0.6876 0.5000
Nd 0.5400 0.3124 0.5000
Nd 0.6235 0.8776 0.0000
Nd 0.6876 0.5417 0.0000
Nd 0.8124 0.0417 0.5000
Nd 0.8765 0.3776 0.5000
Nd 0.9600 0.8124 0.0000
Dy 0.2149 0.2836 0.5000
Dy 0.2851 0.7836 0.0000
Dy 0.7149 0.2164 0.0000
Dy 0.7851 0.7164 0.5000
Al 0.0000 0.5000 0.0000
Al 0.5000 0.0000 0.5000

---

(2)
The following is a calculated X-ray diffraction stick pattern of Dy2Al2Ni15. It was derived from a cell relaxed with GGA-PBE, using copper Kα.

Most intense lines, 2θ from 10° to 90°, low angle first:
2θ 30.7, I = 242; 2θ 37.6, I = 204; 2θ 38.5, I = 185; 2θ 43.8, I = 1000; 2θ 44.1, I = 225; 2θ 44.5, I = 143; 2θ 49.3, I = 142; 2θ 63.8, I = 115; 2θ 72.2, I = 104; 2θ 80.9, I = 122

Structural model:
Unit cell a=6.3040 b=6.3040 c=6.3040 alpha=82.12 beta=82.12 gamma=82.12
Atoms (fractional coordinates):
Dy 0.1503 0.1503 0.1503
Dy 0.8497 0.8497 0.8497
Al 0.3971 0.3971 0.3971
Al 0.6029 0.6029 0.6029
Ni 0.0000 0.5000 0.5000
Ni 0.1548 0.1548 0.6512
Ni 0.1548 0.6512 0.1548
Ni 0.2055 0.5000 0.7945
Ni 0.2055 0.7945 0.5000
Ni 0.3488 0.8452 0.8452
Ni 0.5000 0.0000 0.5000
Ni 0.5000 0.2055 0.7945
Ni 0.5000 0.5000 0.0000
Ni 0.5000 0.7945 0.2055
Ni 0.6512 0.1548 0.1548
Ni 0.7945 0.2055 0.5000
Ni 0.7945 0.5000 0.2055
Ni 0.8452 0.3488 0.8452
Ni 0.8452 0.8452 0.3488

---

(3)
The following is a calculated X-ray diffraction stick pattern of DyAl4Ni4. It was derived from a cell relaxed with GGA-PBE, using copper Kα.

Most intense lines, 2θ from 10° to 90°, low angle first:
2θ 22.9, I = 789; 2θ 31.0, I = 617; 2θ 31.8, I = 1000; 2θ 34.7, I = 937; 2θ 40.9, I = 472; 2θ 45.0, I = 527; 2θ 50.5, I = 708; 2θ 52.2, I = 277; 2θ 54.7, I = 497; 2θ 81.4, I = 184

Structural model:
Unit cell a=6.1824 b=6.1824 c=6.1824 alpha=97.31 beta=97.31 gamma=138.20
Atoms (fractional coordinates):
Dy 0.0000 0.0000 0.0000
Al 0.1181 0.6052 0.7234
Al 0.3948 0.1181 0.5129
Al 0.6052 0.8819 0.4871
Al 0.8819 0.3948 0.2766
Ni 0.1850 0.3111 0.4961
Ni 0.3111 0.8150 0.1261
Ni 0.6889 0.1850 0.8739
Ni 0.8150 0.6889 0.5039

---

(4)
The following is a calculated X-ray diffraction stick pattern of DyAl2Ni9. It was derived from a cell relaxed with GGA-PBE, using copper Kα.

Most intense lines, 2θ from 10° to 90°, low angle first:
(The article goes on)
Need Automated Tools
Because the size and complexity of applications has grown so rapidly, "old style" methods of testing just don't work any more. In the late 1990s you really don't have the economic choice any longer NOT to consider test automation -- unless you don't want to test at all!
Manual vs. Automated Testing
You can do manual testing, but you'll find that it is difficult and costly and not terribly reliable or effective. In fact, if you are dealing with a complicated program at all, you'll virtually be compelled to do some kind of automated testing. Then, too, there are some kinds of analyses that you simply can't consider doing manually, e.g. code coverage analysis.
Testworks is a collection of software test tools that supports all of the major functionalities of most software test projects, including static analysis, metrics, test file generation, GUI testing, test management, test validation, branch and call-pair coverage analysis, etc.
TestWorks save us time and money
You can save 10:1 to 50:1 when you can find a defect and repair it before your product goes to the field. Admittedly, automated testing has some setup costs. Most organizations get into the positive pay-back period after two or three months of TestWorks use.
WhiteBox coverage testing
Sadly, without a really good metric to tell you what you have done and haven't done, you'll probably be badly under tested.
For example, even the best functional testers generally only hit about 30%-50% of the structure of the application they're testing. So, without coverage analysis it may be that upwards of 70% of your application has never been exercised at all when your product goes into field service.
Reliable software = Reliable Solutions
ACS understand the importance of Testing services and its implication. Whether the customer maybe of any type, In today's world of increasing complexity, and ever growing software based solutions, no one can survive if the testing services are not measured up. This is where ACS steps in. We provide you the necessary information and feedback to help you objectively understand and evaluate the quality of your system.